Charlie's Angels is an American media franchise created by Ivan Goff and Ben Roberts and owned by Sony Pictures Entertainment, which began with the original television series of the same name. The franchise follow the adventures of the Angels, a team of women working for the Townsend Agency, a private secret agent agency, under the leadership of Charlie Townsend, their unseen boss. The original television series enjoyed huge popularity with audiences and was a top ten hit in the Nielsen ratings for its first two seasons. Following its cancellation in 1981, the series continues to have a 1970s American cult and pop culture following through syndication and DVD releases. A numerous variety of merchandise were produced, including dolls, a toy line, board games, beauty products, several sets of trading cards and a comic book series by Dynamite Entertainment. A film series was launched in 2000. Taking place after the events of the original series, the films are a continuation of the story with later generations of Angels. The films receive mixed reviews from critics and have grossed a total of 596million,againstacombinedbudgetof596 million, against a combined budget of 596million,againstacombinedbudgetof261 million. The franchise was rebooted in 2011 with a television series of the same name, which was canceled after seven episodes. Following the cancellation, a third film was produced which restored the original timeline of the franchise. (en)
These data records were left in the entry by mistake.
=====
Record 1
68
Properties=species:S:1:pos:R:3:forces:R:3:lowdin_charge:R:1 method="wB97M-V/def2-TZVPD" gap_ev="5.64 / 4.31" charge=+1 homo_ha="-0.3491 / -0.3426"
Ni -0.349 -0.653 0.029 1.0 0.3 0.1 0.37
C 1.372 1.860 1.926 -0.1 -0.2 0.2 -0.30
P -0.384 1.748 2.555 0.3 0.3 -0.3 1.10
C -1.307 2.910 1.451 0.0 -0.3 0.1 -0.37
C -1.589 4.144 2.038 0.0 -0.1 0.1 -0.11
C -2.222 5.151 1.323 0.0 0.0 0.1 -0.07
C -2.606 4.928 0.013 0.0 0.0 -0.1 -0.07
C -2.354 3.699 -0.580 0.0 0.0 -0.1 -0.07
C -1.706 2.700 0.125 0.1 0.1 0.3 -0.10
C -0.828 0.049 2.007 0.0 0.6 -0.1 -0.43
C 0.101 -1.002 2.177 0.1 -0.1 0.1 -0.12
C -0.253 -2.328 1.923 0.1 0.0 0.0 -0.06
C -1.529 -2.632 1.462 0.6 -0.1 -0.3 -0.05
C -2.453 -1.606 1.263 -0.2 0.7 -0.3 -0.06
C -2.118 -0.284 1.548 -0.3 0.0 0.0 -0.10
C 1.693 1.613 0.496 0.9 1.2 0.3 -0.39
C 2.813 2.161 -0.192 -1.4 0.0 1.7 -0.07
C 2.830 1.589 -1.439 -1.0 -1.4 -1.0 -0.06
C 1.714 0.719 -1.489 1.3 0.1 -0.7 -0.40
C 1.199 -0.095 -2.619 -0.6 0.3 0.0 -0.24
P 0.219 -1.520 -1.958 1.0 0.7 -0.7 1.09
C 1.354 -2.936 -1.889 -0.1 -0.1 0.3 -0.36
C 2.727 -2.826 -2.086 0.0 0.1 0.0 -0.10
C 3.534 -3.956 -2.011 0.0 0.0 -0.1 -0.08
C 2.976 -5.196 -1.733 0.0 0.0 0.0 -0.08
C 1.607 -5.307 -1.518 -0.1 0.0 0.0 -0.07
C 0.801 -4.182 -1.594 0.0 -0.1 0.0 -0.10
C -0.907 -1.943 -3.311 -0.3 -0.1 0.4 -0.36
C -2.260 -1.654 -3.162 0.0 0.0 0.0 -0.10
C -3.148 -1.921 -4.193 -0.1 0.0 0.0 -0.07
C -2.686 -2.481 -5.374 0.0 0.0 0.0 -0.06
C -1.336 -2.778 -5.526 0.0 0.0 0.0 -0.06
C -0.446 -2.514 -4.497 0.1 0.0 0.1 -0.07
N 1.040 0.752 -0.315 -1.1 -1.3 -0.3 0.02
H 1.989 1.195 2.538 -0.1 -0.1 0.3 0.06
H 1.705 2.866 2.193 -0.1 0.0 0.0 0.09
H -1.317 4.312 3.074 0.0 0.0 0.0 0.10
H -2.423 6.104 1.795 0.0 0.0 0.0 0.11
H -3.108 5.709 -0.545 0.0 0.0 0.0 0.11
H -2.665 3.519 -1.603 0.0 0.0 0.0 0.11
H -1.508 1.761 -0.363 0.1 -0.2 -0.1 0.07
H 1.116 -0.791 2.483 0.0 0.0 0.0 0.08
H 0.493 -3.105 2.040 0.0 0.0 0.0 0.11
H -1.799 -3.654 1.233 0.0 0.0 0.0 0.12
H -3.443 -1.834 0.891 0.0 0.0 0.0 0.12
H -2.854 0.495 1.401 0.0 0.0 0.0 0.12
H 3.516 2.861 0.231 -0.1 0.0 0.0 0.11
H 3.526 1.765 -2.245 -0.1 0.0 0.0 0.11
H 1.977 -0.370 -3.330 0.0 -0.2 0.0 0.10
H 0.463 0.496 -3.177 -0.1 -0.1 -0.2 0.10
H 3.186 -1.865 -2.273 0.0 0.0 0.0 0.10
H 4.601 -3.861 -2.169 0.0 0.0 0.0 0.12
H 3.605 -6.076 -1.687 0.0 0.0 0.0 0.11
H 1.168 -6.273 -1.302 0.0 0.0 0.0 0.11
H -0.269 -4.275 -1.438 0.0 0.0 0.0 0.11
H -2.615 -1.219 -2.234 0.0 0.0 0.0 0.09
H -4.200 -1.696 -4.072 0.0 0.0 0.0 0.11
H -3.378 -2.692 -6.178 0.0 0.0 0.0 0.11
H -0.980 -3.220 -6.447 0.0 0.0 0.0 0.11
H 0.603 -2.762 -4.612 0.0 0.0 0.0 0.12
N 3.333 -3.658 1.315 -0.1 -0.3 0.3 0.10
C 3.579 -2.449 1.842 0.1 0.4 -0.3 -0.96
N 3.867 -2.396 3.158 0.0 -0.3 0.2 0.09
S 3.488 -1.059 0.916 0.0 0.0 0.1 0.71
H 3.456 -4.507 1.842 0.0 0.0 0.0 0.11
H 3.155 -3.726 0.327 0.0 0.0 0.0 0.04
H 4.083 -3.230 3.681 0.0 0.0 0.0 0.10
H 4.199 -1.522 3.522 0.0 0.1 0.0 0.09

Record 2
137
Properties=species:S:1:pos:R:3:forces:R:3:lowdin_charge:R:1 method="wB97M-V/def2-TZVPD" gap_ev=7.36 homo_ha=-0.3151
=====
«Янголи Чарлі» (англ. Charlie's Angels) — назва кількох кіно- та телефільмів і серіалів про спеціальний таємний жіночий підрозділ для боротьби з небезпечними міжнародними злочинцями та шпигунами. Автори медіафраншизи — сценаристи Іван Гофф (1910—1999) і Бен Робертс (1916—1984), власник — Sony Pictures Entertainment. Франшиза «Янголи Чарлі» включає в себе: (uk)
«Янголи Чарлі» (англ. Charlie's Angels) — назва кількох кіно- та телефільмів і серіалів про спеціальний таємний жіночий підрозділ для боротьби з небезпечними міжнародними злочинцями та шпигунами. Автори медіафраншизи — сценаристи Іван Гофф (1910—1999) і Бен Робертс (1916—1984), власник — Sony Pictures Entertainment. Франшиза «Янголи Чарлі» включає в себе: (uk)
Charlie's Angels is an American media franchise created by Ivan Goff and Ben Roberts and owned by Sony Pictures Entertainment, which began with the original television series of the same name. The franchise follow the adventures of the Angels, a team of women working for the Townsend Agency, a private secret agent agency, under the leadership of Charlie Townsend, their unseen boss. (en)